/*
Entry from the Open Molecules 2025 dataset: a molecular structure, C30H31N5O5Os (ωB97M-V/def2-TZVPD).

```
72
Properties=species:S:1:pos:R:3:mulliken_spin:R:1
Os 0.22 0.02 -0.72 1.744
O 1.81 0.73 -2.37 0.014
C 1.50 0.33 -3.71 -0.002
C 0.05 -0.07 -3.80 0.007
C -0.59 -0.09 -5.03 0.003
C -1.91 -0.49 -5.12 0.006
C -2.56 -0.89 -3.96 -0.005
C -1.87 -0.84 -2.76 0.001
N -0.60 -0.41 -2.67 -0.046
H 2.75 0.98 -2.32 0.006
H 2.13 -0.52 -4.01 0.001
H 1.70 1.16 -4.40 0.000
H -0.04 0.20 -5.92 0.001
H -2.42 -0.50 -6.07 0.000
H -3.58 -1.24 -3.98 0.001
H -2.34 -1.16 -1.84 0.008
O -5.37 4.08 -1.58 0.001
C -4.22 4.27 -2.32 0.001
C -3.12 3.35 -1.89 0.007
C -1.90 3.34 -2.57 0.013
C -0.90 2.48 -2.14 0.006
N -1.04 1.67 -1.09 -0.028
C -2.19 1.74 -0.36 -0.003
C -3.25 2.54 -0.77 0.054
C -2.04 1.02 0.91 0.200
C -2.81 1.34 2.03 0.145
C -2.52 1.11 3.40 0.126
C -3.64 1.39 4.38 0.003
O -3.16 1.48 5.67 0.004
C -1.30 0.79 3.93 0.303
C -0.17 -0.28 1.93 0.061
N -1.04 0.14 0.86 0.162
H -6.07 4.69 -1.85 0.000
H -3.84 5.31 -2.22 0.001
H -4.40 4.15 -3.40 0.000
H -1.72 3.99 -3.41 0.000
H 0.05 2.47 -2.65 0.008
H -4.19 2.54 -0.23 0.000
H -3.73 1.86 1.83 0.009
H -4.41 0.59 4.30 0.000
H -4.17 2.31 4.09 -0.002
H -3.83 1.78 6.30 0.000
H -1.25 0.72 5.01 -0.014
H -0.41 -1.31 2.25 -0.030
O 5.98 -3.88 -0.16 0.001
C 5.11 -4.14 -1.20 0.002
C 3.88 -3.30 -1.07 0.004
C 2.89 -3.29 -2.06 0.022
C 1.78 -2.47 -1.91 0.019
N 1.59 -1.69 -0.85 0.001
C 2.51 -1.76 0.16 0.005
C 3.66 -2.52 0.07 0.052
C 2.04 -1.08 1.36 0.173
C 2.47 -1.41 2.64 0.101
C 2.05 -0.83 3.87 0.170
C 2.86 -1.27 5.08 -0.025
O 3.71 -2.31 4.78 0.028
C 1.04 0.07 4.10 0.283
C -0.02 0.60 3.19 0.092
N 1.01 -0.26 1.10 0.241
H 6.81 -4.39 -0.25 0.000
H 4.80 -5.21 -1.21 0.000
H 5.57 -3.98 -2.18 0.000
H 2.98 -3.92 -2.94 0.000
H 1.01 -2.47 -2.67 0.012
H 4.41 -2.53 0.85 -0.001
H 3.25 -2.14 2.72 -0.003
H 2.18 -1.54 5.91 0.018
H 3.43 -0.39 5.43 0.030
H 4.10 -2.70 5.57 -0.002
H 0.96 0.45 5.11 -0.032
H 0.32 1.60 2.85 0.044
```

The value obtained for the energy above the lowest of the compared OMol25 structures with the same formula, charge and spin is 13.5 kcal per mole. As for the multiplicity: 5. As for the net charge: +4. The calculation puts the HOMO energy (alpha / beta) at -0.71566 / -0.71616 Eh. Its expectation value of S² is 6.0572. As for the orbital gap (alpha / beta): 7.3389 / 4.7572 eV.

Entry from the Open Molecules 2025 dataset: a molecular structure, C5H11NO2 (ωB97M-V/def2-TZVPD).

```
19
Properties=species:S:1:pos:R:3:mulliken_charge:R:1
C -0.66 -1.11 -0.75 -0.468
C -0.34 1.23 -0.14 -0.657
C -1.38 -1.68 0.41 -1.026
C 1.86 -0.61 0.32 -0.078
N -1.15 1.97 -1.04 -0.432
C 0.33 -0.16 -0.76 0.126
O 2.84 0.26 0.05 -0.348
O 1.49 -0.67 1.60 -0.313
H 2.17 -0.39 2.25 0.245
H 2.89 0.99 0.71 0.239
H -0.83 -1.60 -1.70 0.425
H -1.00 2.97 -1.08 0.196
H -2.02 1.51 -1.27 0.190
H 0.81 0.08 -1.70 0.360
H 0.55 1.82 0.10 0.441
H -0.84 0.96 0.80 0.217
H -1.90 -0.93 1.01 0.290
H -0.69 -2.20 1.08 0.233
H -2.13 -2.42 0.11 0.360
```

The value obtained for the energy above the lowest of the compared OMol25 structures with the same formula, charge and spin is 132.5 kcal per mole. The calculation puts the HOMO energy (alpha / beta) at -0.25751 / -0.25287 Eh. As for the orbital gap (alpha / beta): 7.4837 / 7.1577 eV.

| no. | E (Eh) |
| --- | --- |
| 1 | -1900.8745 |
| 2 | -402.1670 |


[1]
Molecular formula: C46H39ClIrN4O4P2S
Method: DFT, wB97M-V/def2-TZVPD

Element x y z (Å)
Ir 0.34207 -0.16611 -0.17153
Cl 0.60743 -2.60699 -1.06602
C 0.10332 -3.71265 0.17391
C -0.49187 -4.91654 -0.17516
C -0.83346 -5.81890 0.81792
C -0.55688 -5.53581 2.14683
C 0.02704 -4.32912 2.49376
C 0.33885 -3.39232 1.50968
P 1.02966 -1.75919 1.99154
C -0.10909 -1.02565 3.18934
C -1.38298 -1.54031 3.43110
C -2.20865 -0.92220 4.35315
C -1.78927 0.22827 5.00430
C -0.54142 0.77280 4.72782
C 0.29572 0.15393 3.81856
C 2.53250 -2.22579 2.87310
C 2.63288 -2.08506 4.25927
C 3.75141 -2.56839 4.91034
C 4.78429 -3.15600 4.19419
C 4.68928 -3.28564 2.81444
C 3.56867 -2.82405 2.15180
*/
Please find the line earlier on that holds "0.10 0.441", then return that line and all lines after it there.
H 0.55 1.82 0.10 0.441
H -0.84 0.96 0.80 0.217
H -1.90 -0.93 1.01 0.290
H -0.69 -2.20 1.08 0.233
H -2.13 -2.42 0.11 0.360
```

The value obtained for the energy above the lowest of the compared OMol25 structures with the same formula, charge and spin is 132.5 kcal per mole. The calculation puts the HOMO energy (alpha / beta) at -0.25751 / -0.25287 Eh. As for the orbital gap (alpha / beta): 7.4837 / 7.1577 eV.

| no. | E (Eh) |
| --- | --- |
| 1 | -1900.8745 |
| 2 | -402.1670 |


[1]
Molecular formula: C46H39ClIrN4O4P2S
Method: DFT, wB97M-V/def2-TZVPD

Element x y z (Å)
Ir 0.34207 -0.16611 -0.17153
Cl 0.60743 -2.60699 -1.06602
C 0.10332 -3.71265 0.17391
C -0.49187 -4.91654 -0.17516
C -0.83346 -5.81890 0.81792
C -0.55688 -5.53581 2.14683
C 0.02704 -4.32912 2.49376
C 0.33885 -3.39232 1.50968
P 1.02966 -1.75919 1.99154
C -0.10909 -1.02565 3.18934
C -1.38298 -1.54031 3.43110
C -2.20865 -0.92220 4.35315
C -1.78927 0.22827 5.00430
C -0.54142 0.77280 4.72782
C 0.29572 0.15393 3.81856
C 2.53250 -2.22579 2.87310
C 2.63288 -2.08506 4.25927
C 3.75141 -2.56839 4.91034
C 4.78429 -3.15600 4.19419
C 4.68928 -3.28564 2.81444
C 3.56867 -2.82405 2.15180